Better route and timetable planning can address one of the core requirements passengers have — which is avoiding transfers to get to their destinations as much as possible. Capital Metro

Better route and timetable planning can address one of the core requirements passengers have — which is avoiding transfers to get to their destinations as much as possible.

Capital Metro

New forms of mobility are changing the public transportation landscape; in turn, those new modes of mobility are enabled by technology innovation. In other words, technology is what caused today’s unprecedented mobility revolution. Ride-sharing, ride-hailing, and other forms of mobility are driven by vehicle location technologies and the superior processing power of cloud-native applications.

If these technologies have revolutionized how we think about the traditional business of taxis and van-based transportation, bikes, and scooters, what is the technology that will transform bus transportation? Our answer is that next-generation, cloud-native planning and scheduling technology — using Artificial Intelligence — will bring a similar transformation to public transportation.

Scheduling and planning technology, which most people think of as slow and complex software, is strategic to the future of public transportation. As planning and scheduling software modernizes, becomes quick and cloud-native, it holds the key to rejuvenating public transportation and bringing it to the world of mobility. Here are six ways in which next generation scheduling changes the business of mass transportation:

1. Properly addressing underlying cost issues

Good optimization saves money; it isn’t done for its own sake. Saving money means a better chance at dealing with budget issues, or freeing funds to improve service through more frequent trips on certain core lines and more.

When optimizations run slowly, often there isn’t time to run multiple scenarios — and therefore the best one can’t be selected. Quick optimization therefore doesn’t just make work easier — it also increases the likelihood of finding the best solution.

Legacy scheduling and planning systems make it difficult to fully express rules and preferences related to the transportation network. This means once the initial optimization is over, additional manual work is required, rendering some of the optimization inefficient, therefore, creating a less than optimal schedule or roster.

Two classic examples of manual work added after the optimization is done are rosters and relief vehicles. In many cases, rosters are optimized manually, losing the opportunity to save money by applying optimization and not reducing enough overtime. Similarly, when relief vehicles are used, a different manual schedule is created for them, ignoring the savings inherent in good relief operations. When relief scheduling is optimized too, as part of the general rules and preferences, these costs can be saved, delivering a better return on the relief fleet operation.

2. Improving ridership

No one will argue increasing ridership is simple. It’s tricky, but it can be done with the proper technology infrastructure. Passenger surveys typically indicate they prefer more frequent trips (e.g. every 10 minutes instead of every 20 minutes), better on time performance, and shorter trips with no transfers. These needs can be addressed through better scheduling. As mentioned above, budget savings can be translated into more trips.

_Inserted here: data records_
'''
Material: Ce3Pu3Ge5
Method: DFT, PBE
State: relaxed

a = 8.4942 Å, b = 8.4942 Å, c = 4.9042 Å
α = 90.00°, β = 90.00°, γ = 120.00°
Last column: nearest neighbours and their distance in Å.
Space group P-62m (No. 189)
Inequivalent atoms, fractional coordinates:
Ce 0.0000 0.5495 0.0000  2 Ge 2.82, 2 Pu 3.05
Pu 0.0000 0.7637 0.5000  2 Ge 2.86, 2 Ce 3.05
Ge 0.0000 0.3858 0.5000  2 Ge 2.64, 2 Ce 2.82, 2 Pu 2.86
Ge 0.3333 0.6667 0.5000  3 Ge 2.64

Results
As for the formation energy: 3.6 kJ/mol of atoms.

***

Material: UGeAs
Method: DFT, PBE
State: relaxed

a = 4.8543 Å, b = 4.8543 Å, c = 2.8291 Å
α = 90.00°, β = 90.00°, γ = 120.00°
Last column: nearest neighbours and their distance in Å.
Space group P-6m2 (No. 187)
Inequivalent atoms, fractional coordinates:
U 0.0000 0.0000 0.0000  2 U 2.83, 6 As 3.14, 6 Ge 3.14
Ge 0.3333 0.6667 0.5000  3 As 2.80, 2 Ge 2.83
As 0.6667 0.3333 0.5000  3 Ge 2.80, 2 As 2.83

Results
As for the formation energy: -11.6 kJ/mol of atoms. The value obtained for the energy above the most stable polymorph in this dataset is 1.174 eV/f.u.

***

Material: SbAuBr4
Method: DFT, PBE
State: relaxed

a = 7.2244 Å, b = 20.1554 Å, c = 7.2094 Å
α = 90.00°, β = 91.64°, γ = 90.00°
Last column: nearest neighbours and their distance in Å.
Space group C2/c (No. 15)
Inequivalent atoms, fractional coordinates:
Sb 0.0000 0.0517 0.2500  6 Br 2.84-2.87
Au 0.0000 0.3497 0.7500  2 Br 2.43
Br 0.2183 0.1540 0.4252  1 Au 2.43
Br 0.2223 0.0479 0.9322  2 Sb 2.84-2.87

Results
The value obtained for the energy above the most stable polymorph in this dataset is 0.000 eV/f.u. The value obtained for the energy relative to the elements, uncorrected is -0.418 eV/atom.

***

Material: TbNdNp2As4
Method: DFT, PBE
State: relaxed

a = 7.2019 Å, b = 4.1324 Å, c = 7.2056 Å
α = 90.00°, β = 109.24°, γ = 90.00°
Last column: nearest neighbours and their distance in Å.
Space group P2/m (No. 10)
Inequivalent atoms, fractional coordinates:
Tb 0.0000 0.0000 0.0000  6 As 2.95
Nd 0.5000 0.5000 0.0000  6 As 2.99
Np 0.0000 0.5000 0.5000  6 As 2.89
Np 0.5000 0.0000 0.5000  6 As 2.92
As 0.2427 0.0000 0.7401  3 Np 2.89-2.92, 1 Tb 2.95, 2 Nd 2.99
As 0.2481 0.5000 0.2567  3 Np 2.89-2.92, 2 Tb 2.95, 1 Nd 2.99

Results
As for the formation energy: -103.4 kJ/mol of atoms.

***

Material: CrRu2Se
Method: DFT, PBE
State: relaxed

a = 3.7695 Å, b = 3.7695 Å, c = 8.0518 Å
α = 90.00°, β = 90.00°, γ = 90.00°
Last column: nearest neighbours and their distance in Å.
Space group I-4m2 (No. 119)
Inequivalent atoms, fractional coordinates:
Cr 0.0000 0.0000 0.0000  8 Ru 2.67-2.76, 4 Se 2.76
Ru 0.0000 0.0000 0.5000  4 Cr 2.67, 4 Se 2.76, 4 Ru 2.76
Ru 0.0000 0.5000 0.7500  4 Se 2.67, 4 Cr 2.76, 4 Ru 2.76
Se 0.0000 0.5000 0.2500  8 Ru 2.67-2.76, 4 Cr 2.76

Results
The value obtained for the energy relative to the elements, uncorrected is 0.339 eV/atom.

***

Material: Pm5Nd2Th
Method: DFT, PBE
State: relaxed

a = 7.2797 Å, b = 14.5779 Å, c = 5.1882 Å
α = 90.00°, β = 90.00°, γ = 90.00°
'''

Other impacts is using scheduling to create better on-time performance. For instance, some modern platforms use artificial intelligence to predict the likelihood of on-time performance for each and every trip, producing automated scheduling suggestions to improve it while keeping costs in check. From now on, scheduling doesn’t just optimize resources, but it also optimizes on-time performance.

3. Routes

Better route and timetable planning can address one of the core requirements passengers have — which is avoiding transfers to get to their destinations as much as possible, and having efficient routes that take the shortest possible path.

Better route planning capabilities can allow planners to simply and easily consider what if scenarios, generate travel times based on real data, validate routes and timetables against rules, and add additional data layers, such as origin-destination matrices, to make better route planning decisions.

Scheduling and planning technology, which most people think of as slow and complex software, is strategic to the future of public transportation. Optibus

Scheduling and planning technology, which most people think of as slow and complex software, is strategic to the future of public transportation.


4. Addressing underlying business issues

In our experience, public transportation executives are often most worried about driver shortages, more than cost savings or on-time performance.

Scheduling can be a strategic tool to deal with driver shortages.

In the shorter term, good quality scheduling can help create schedules with a constrained number of drivers as one of their determining factors, finding the optimal way of operating the service given the limited driver count.

In the long run, scheduling can be used to develop quality duties — fewer split shifts, better beginning and end times and locations — and quality rosters, giving drivers a better work life balance.

Scheduling can also be used strategically in union negotiations, allowing quick expression and implementation of labor rules, such as break times. This can allow unions and operators to quickly agree on win-win scenarios and agree on the basic facts relating to driver schedules, creating consensus and understanding implications.

5. Powering innovation

Modern scheduling platforms can support innovation. For instance, as electric vehicles enter mainstream bus fleets, new rules, and preferences need to be dealt with at the scheduling level. Many electric vehicles have non-linear battery charging and battery usage profiles, supporting different ranges and charging times, charging station capacities, and minimum battery thresholds. These need to be properly accounted for in any scheduling plan, to maximize electric miles and minimize diesel miles, as well as help understand how to manage all-electric fleets or mixed electric and diesel fleets.

6. The power of the cloud and artificial intelligence

Do next generation planning and scheduling platforms need to be based on the cloud? The answer is yes. Let’s assume you launch a Mobility-as-a-Service (MaaS) platform (covering bus, shared scooters, and ride-hailing). To do so, you would need “the cloud”: passengers would use apps to indicate demand and reserve scooters, rides, etc. Scooter, bus, and ride operators would need input from the app to better plan their resources, locate their assets, and schedule their operations. MaaS can’t work on premises, disconnected from the world of supply and demand, in real time.

But there is another reason modern scheduling platforms are cloud native, built for cloud — cloud native apps are typically faster and more powerful, and scheduling is a complex enough problem that requires these capabilities.

Mass transit providers will need to upgrade their core technology infrastructure to cloud-native applications, so that they can modernize and remain competitive and, most importantly, so that they can take part in the future of MaaS.

 Amos Haggiag is the CEO and co-founder of Optibus.